Contents
<<<
# YV6Sn6, optimized geometry, DFT r2SCAN
data_YV6Sn6
_symmetry_space_group_name_H-M 'P 6/m m m'
_symmetry_Int_Tables_number 191
_symmetry_space_group_name_Hall '-P 6 2'
_cell_length_a 5.4788
_cell_length_b 5.4788
_cell_length_c 9.2287
_cell_angle_alpha 90.00
_cell_angle_beta 90.00
_cell_angle_gamma 120.00
loop_
_atom_site_label
_atom_site_fract_x
_atom_site_fract_y
_atom_site_fract_z
Y1 0.0000 0.0000 0.0000
V1 0.0000 0.5000 0.2486
Sn1 0.0000 0.0000 0.3297
Sn2 0.3333 0.6667 0.0000
Sn3 0.3333 0.6667 0.5000
# ΔH_f (0 K): -0.257 eV per atom
# energy: -19.744 eV/atom
# M_tot: 0.000 μB/cell

***

# Y5Sn3, optimized geometry, DFT r2SCAN
data_Y5Sn3
_symmetry_space_group_name_H-M 'P 63/m c m'
_symmetry_Int_Tables_number 193
_symmetry_space_group_name_Hall '-P 6c 2'
_cell_length_a 8.9553
_cell_length_b 8.9553
_cell_length_c 6.5987
_cell_angle_alpha 90.00
_cell_angle_beta 90.00
_cell_angle_gamma 120.00
loop_
_atom_site_label
_atom_site_fract_x
_atom_site_fract_y
_atom_site_fract_z
Y1 0.0000 0.2398 0.2500
Y2 0.3333 0.6667 0.0000
Sn1 0.0000 0.3944 0.7500
# ΔH_f (0 K): -0.870 eV per atom
# energy: -22.846 eV/atom
# M_tot: 1.292 μB/cell

***

Q: Which of these has the highest ΔH_f (0 K)?
A: YV6Sn6

* * * * *

one) Compound: Na3Ti2Si2PO12
Source: the Materials Project
Functional: PBE-GGA
Structure: relaxed

Computed properties:
Total magnetization in μB per cell: 0.00

Unit cell a=8.878 b=8.878 c=22.290 alpha=89.93 beta=90.07 gamma=119.92
Element x y z (fractional)
O1 0.362 0.853 0.576
Ti1 0.673 0.336 0.482
O2 0.506 0.859 0.076
Na1 0.635 0.001 0.250
Na2 0.332 0.032 0.417
O3 0.837 0.820 0.591
O4 0.869 0.499 0.142
Ti2 0.340 0.669 0.815
O5 0.173 0.700 0.474
O6 0.540 0.698 0.974
O7 0.700 0.164 0.029
O8 0.367 0.498 0.362
Ti3 0.664 0.327 0.982
O9 0.171 0.486 0.257
O10 0.835 0.798 0.308
O11 0.474 0.160 0.243
O12 0.840 0.526 0.743
Si1 0.373 0.042 0.583
Na3 0.668 0.333 0.333
O13 0.028 0.840 0.410
Na4 0.999 0.365 0.750
O14 0.135 0.635 0.357
O15 0.496 0.360 0.422
Ti4 0.002 0.011 0.852
Na5 0.033 0.333 0.084
O16 0.973 0.171 0.589
O17 0.506 0.367 0.140
Si2 0.625 0.960 0.416
O18 0.141 0.494 0.576
O19 0.836 0.300 0.529
P1 0.957 0.337 0.584
O20 0.031 0.198 0.191
O21 0.480 0.304 0.743
O22 0.853 0.363 0.925
Na6 0.334 0.665 0.167
O23 0.163 0.693 0.756
Si3 0.375 0.330 0.083
O24 0.970 0.814 0.091
Si4 0.291 0.294 0.749
Na7 0.301 0.334 0.583
P2 0.663 0.043 0.084
O25 0.467 0.168 0.525
O26 0.800 0.835 0.191
O27 0.300 0.827 0.974
O28 0.165 0.200 0.691
Ti5 0.997 0.993 0.649
O29 0.173 0.192 0.409
O30 0.633 0.494 0.640
O31 0.514 0.829 0.757
Ti6 0.668 0.344 0.185
O32 0.698 0.531 0.524
P3 0.624 0.671 0.917
Si5 0.706 0.709 0.249
O33 0.873 0.364 0.640
Na8 0.335 0.666 0.667
P4 0.329 0.376 0.417
O34 0.967 0.160 0.307
O35 0.827 0.306 0.243
O36 0.829 0.027 0.089
O37 0.504 0.153 0.924
O38 0.969 0.794 0.807
Si6 0.042 0.663 0.416
O39 0.168 0.465 0.975
Na9 0.002 0.000 0.000
Ti7 0.322 0.665 0.019
Si7 0.958 0.627 0.083
O40 0.640 0.504 0.922
O41 0.186 0.030 0.591
O42 0.498 0.866 0.358
O43 0.302 0.460 0.474
O44 0.365 0.865 0.857
O45 0.147 0.638 0.076
Si8 0.670 0.625 0.583
O46 0.808 0.827 0.909
O47 0.033 0.831 0.695
Na10 0.667 0.332 0.833
P5 0.290 0.004 0.251
O48 0.847 0.496 0.424
O49 0.180 0.163 0.091
O50 0.502 0.633 0.862
Ti8 0.656 0.332 0.685
Si9 0.040 0.375 0.916
Na11 0.334 0.300 0.917
Ti9 0.989 0.998 0.352
Si10 0.337 0.958 0.916
Na12 0.000 0.998 0.500
Na13 0.968 0.668 0.917
Na14 0.367 0.000 0.750
Na15 0.666 0.699 0.083
Na16 0.000 0.633 0.250
O51 0.206 0.031 0.307
O52 0.303 0.481 0.758
O53 0.169 0.967 0.195
O54 0.493 0.639 0.576
Na17 0.700 0.666 0.417
O55 0.134 0.502 0.858
O56 0.202 0.165 0.808
Ti10 0.335 0.678 0.519
Ti11 0.331 0.660 0.315
O57 0.469 0.302 0.024
O58 0.694 0.173 0.743
O59 0.160 0.972 0.910
O60 0.636 0.127 0.140
O61 0.361 0.507 0.076
O62 0.832 0.533 0.025
O63 0.802 0.969 0.691
O64 0.814 0.971 0.409
O65 0.535 0.832 0.475
Si11 0.004 0.292 0.250
O66 0.307 0.837 0.256
Si12 0.708 0.996 0.750
O67 0.637 0.147 0.425
Na18 0.667 0.967 0.584
O68 0.519 0.697 0.258
>>>
Work order
Find the line further up that holds "O32 0.698", then copy that line and all lines after it there.
Outcome
O32 0.698 0.531 0.524
P3 0.624 0.671 0.917
Si5 0.706 0.709 0.249
O33 0.873 0.364 0.640
Na8 0.335 0.666 0.667
P4 0.329 0.376 0.417
O34 0.967 0.160 0.307
O35 0.827 0.306 0.243
O36 0.829 0.027 0.089
O37 0.504 0.153 0.924
O38 0.969 0.794 0.807
Si6 0.042 0.663 0.416
O39 0.168 0.465 0.975
Na9 0.002 0.000 0.000
Ti7 0.322 0.665 0.019
Si7 0.958 0.627 0.083
O40 0.640 0.504 0.922
O41 0.186 0.030 0.591
O42 0.498 0.866 0.358
O43 0.302 0.460 0.474
O44 0.365 0.865 0.857
O45 0.147 0.638 0.076
Si8 0.670 0.625 0.583
O46 0.808 0.827 0.909
O47 0.033 0.831 0.695
Na10 0.667 0.332 0.833
P5 0.290 0.004 0.251
O48 0.847 0.496 0.424
O49 0.180 0.163 0.091
O50 0.502 0.633 0.862
Ti8 0.656 0.332 0.685
Si9 0.040 0.375 0.916
Na11 0.334 0.300 0.917
Ti9 0.989 0.998 0.352
Si10 0.337 0.958 0.916
Na12 0.000 0.998 0.500
Na13 0.968 0.668 0.917
Na14 0.367 0.000 0.750
Na15 0.666 0.699 0.083
Na16 0.000 0.633 0.250
O51 0.206 0.031 0.307
O52 0.303 0.481 0.758
O53 0.169 0.967 0.195
O54 0.493 0.639 0.576
Na17 0.700 0.666 0.417
O55 0.134 0.502 0.858
O56 0.202 0.165 0.808
Ti10 0.335 0.678 0.519
Ti11 0.331 0.660 0.315
O57 0.469 0.302 0.024
O58 0.694 0.173 0.743
O59 0.160 0.972 0.910
O60 0.636 0.127 0.140
O61 0.361 0.507 0.076
O62 0.832 0.533 0.025
O63 0.802 0.969 0.691
O64 0.814 0.971 0.409
O65 0.535 0.832 0.475
Si11 0.004 0.292 0.250
O66 0.307 0.837 0.256
Si12 0.708 0.996 0.750
O67 0.637 0.147 0.425
Na18 0.667 0.967 0.584
O68 0.519 0.697 0.258